*As of 1 April 2023, South African companies are required to file their beneficial ownership to the CIPC*
Understanding the Legal Requirements for Beneficial Ownership
In an effort to combat money laundering and terrorist financing, the South African government introduced the General Laws (Anti-Money Laundering and Combating Terrorism Financing) Amendment Act 22 of 2022, which came into effect on April 1, 2023. This act includes amendments to the Companies Act 71 of 2008, mandating companies to maintain a register of beneficial owners and submit this information to the Companies and Intellectual Property Commission (CIPC) regularly. It also defined concepts such as beneficial owners and affected companies.
The purpose of these amendments was to provide the relevant authorities with the necessary information to reduce the risk of money laundering, financial crimes, and reputation damage.
Who Needs to File Beneficial Ownership?
The following types of companies are required to file beneficial ownership information with the CIPC:
- Private Companies (“PTY“)
- Close Corporations (“CC“)
- Non-Profit Companies (“NPC“)
- State-Owned Companies (“SOC“)
- Personal Liability Companies (“PLC“)
- Public Companies (“LTD“)
While public companies’ records are maintained by competent authorities like the Johannesburg Stock Exchange (“JSE“), they are still obligated to submit a register of beneficial owners as per the amended Companies Regulations.
Primary Co-Operative (“co-op”) companies are not required to file beneficial ownership to CIPC – current amendments don’t include co-ops.
• Quantum chemistry results from another source follow:
<<<
Below is C2KLiO4 as an isolated structure at a distorted geometry, with properties calculated with ωB97M-V/def2-TZVPD.

Positions of all 8 atoms, in Å:
O (1.752, 0.270, 0.768)
C (2.091, -0.110, -0.251)
O (2.449, -0.473, -1.445)
O (-1.639, 0.782, -2.989)
O (-2.111, -1.535, -2.407)
C (-1.794, -0.308, -2.693)
Li (-1.318, 0.084, 5.727)
K (0.569, 1.289, 3.290)

## Properties
**HOMO energy**: -0.162 Ha
**HOMO-LUMO gap**: 3.91 eV

=====

Below is one molecule with the formula C2H6BN at a distorted geometry, with properties calculated with ωB97M-V/def2-TZVPD.

Positions of all 10 atoms, in Å:
C (-2.498, -0.120, 0.092)
B (-1.120, -0.026, 0.151)
N (0.256, 0.159, -0.294)
C (1.670, -0.052, 0.179)
H (-3.182, -0.816, -0.170)
H (-3.093, 0.677, 0.436)
H (0.159, 0.474, -1.218)
H (2.013, 0.940, 0.642)
H (1.772, -0.922, 0.841)
H (2.323, -0.227, -0.851)

## Properties
**HOMO energy**: -0.304 Ha
**SMILES**: C=BNC
**HOMO-LUMO gap**: 8.80 eV

=====

Below is a 2-piece molecular cluster, C2H4ClP overall at a distorted geometry, with properties calculated with ωB97M-V/def2-TZVPD.

Positions of all 8 atoms, in Å:
C (0.851, -0.240, -0.704)
C (0.700, -0.003, 0.707)
P (0.585, 0.478, 2.219)
H (1.838, -0.415, -0.902)
H (0.625, 0.811, -1.166)
H (0.367, -1.064, -1.055)
Cl (-2.628, -0.043, -0.095)
H (-2.337, 0.476, 0.998)

## Properties
**HOMO energy**: -0.347 Ha
**SMILES**: CC#P.Cl
**HOMO-LUMO gap**: 10.02 eV

=====

Below is C7H18ClI2IrOP2 as an isolated structure at a distorted geometry, with properties calculated with ωB97M-V/def2-TZVPD.

Positions of all 32 atoms, in Å:
I (-0.046, 4.450, 1.970)
I (1.727, 4.426, 0.125)
Ir (-0.214, -0.502, -0.289)
P (-1.617, 0.750, -1.474)
C (-1.497, 2.547, -1.182)
C (-1.262, 0.508, -3.263)
H (-3.381, -0.806, -1.043)
H (-4.045, 0.688, -1.818)
H (-3.572, 0.699, -0.094)
C (-3.344, 0.286, -1.080)
H (-1.139, -0.563, -3.436)
H (-2.066, 0.910, -3.909)
H (-2.201, 3.068, -1.813)
H (-0.458, 2.900, -1.384)
H (-0.324, 1.022, -3.497)
H (-1.661, 2.776, -0.130)
C (0.452, 0.897, 0.649)
O (0.998, 1.626, 1.338)
Cl (-0.968, -2.515, -1.219)
C (2.348, -0.383, 2.261)
P (1.436, -1.531, 1.199)
C (2.693, -2.346, 0.217)
C (0.561, -2.589, 2.404)
H (2.906, 0.315, 1.648)
H (3.068, -0.903, 2.882)
H (1.678, 0.147, 2.929)
H (3.346, -2.952, 0.865)
H (2.223, -2.984, -0.531)
H (3.275, -1.568, -0.262)
H (1.261, -3.199, 2.966)
H (-0.020, -1.948, 3.096)
H (-0.158, -3.226, 1.874)

## Properties
**Charge**: +3
**<S²>**: 8.77
**HOMO energy (alpha / beta)**: -0.655 / -0.748 Ha
**Spin multiplicity**: 6
**HOMO-LUMO gap (alpha / beta)**: 7.11 / 6.29 eV

=====

Below is C6H12O2S3 as an isolated structure at a distorted geometry, with properties calculated with ωB97M-V/def2-TZVPD.

Positions of all 23 atoms, in Å:
C (-0.155, -1.153, 0.998)
C (-1.048, -0.642, -0.935)
C (-1.362, -0.416, 0.556)
C (0.323, -1.206, -0.572)
C (-1.438, 1.057, 1.021)
C (3.095, 0.638, 0.618)
O (0.943, 1.293, -1.720)
O (2.516, -0.588, -1.835)
S (4.315, 1.298, -0.419)
S (3.344, -1.013, 1.285)
>>>
In terms of who can file beneficial ownership, anyone who has been mandated by the company to file this information may do so.
Identifying Beneficial Owners:
Beneficial owners are individuals who ultimately own or control a company, either directly or indirectly, by holding a beneficial interest of 5% or more in the company or share class. Typically, these are the shareholders or members of a company.
*The CIPC only record beneficial owners with 5% or more ownership in the company*
In the case of a PTY, shareholders are:
- Individuals holding 5% or more of the issued shares
- Companies with beneficial owners holding a beneficial interest of 5% or more in the original company
- Trusts with beneficiaries (although this information is not required by CIPC as it’s submitted to the Master of the High Court)
- In the case of a CC or PLC, members holding 5% interest or more in the company.
- In the case of an NPC with members, the members would be the beneficial owners.
- In the case of an NPC without members, the directors would be the beneficial owners.
- In the case of an SOC where a shareholder is a minister, the minister would be the beneficial owner.
Filing Procedures:
Leading Edge can assist you in navigating the complexities of beneficial ownership filing and ensure your company’s compliance with the latest regulations.
The following documents should be prepared:
Mandate to Lodge Beneficial Ownership
Register of Beneficial Owners
Register of Shareholders (or Members in the case of a CC, PLC, or NPC with members)
Verified/Certified IDs of beneficial owners
Once your beneficial ownership has been filed and the supporting documents submitted, you will receive a confirmation from the CIPC in the form of a certificate to confirm receipt.
Filing Deadlines:
The deadline for filing beneficial ownership information with the CIPC is within 30 days of the company’s next anniversary date (similar to the annual return) or within 10 days of incorporation if the company was registered after May 24, 2023.
Legally speaking, companies are also required to file any changes to this information within 10 days of changes occurring. However, the CIPC does not currently support the submission of changes to beneficial ownership.